Source:
'''
[1]
Diffraction record for Ho2Re. The powder diffractogram is simulated, not measured: it uses a DFT-relaxed cell (PBE, OQMD) and Cu Ka.

Principal peaks in the range 10° ≤ 2θ ≤ 80°, by angle:
2θ (°)  I/Imax  hkl
22.84  31  1 1 1
26.44  10  2 0 0
37.74  100  2 2 0
44.57  16  3 1 1
54.43  18  4 0 0
59.78  7  3 3 1
68.13  36  4 2 2
72.90  5  5 1 1

Atomic structure:
abc: 6.743 6.743 6.743
angles: 90.00 90.00 90.00
Space group Fm-3m (No. 225)
Asymmetric unit:
1 Ho 0.250 0.250 0.250 [8 per cell]
2 Re 0.000 0.000 0.000 [4 per cell]

[2]
Diffraction record for Ho3ReTe5. The powder diffractogram is simulated, not measured: it uses a DFT-relaxed cell (PBE, OQMD) and Cu Ka.

Principal peaks in the range 10° ≤ 2θ ≤ 80°, by angle:
2θ (°)  I/Imax  hkl
11.79  36  1 0 0
31.35  100  1 1 1
31.54  34  2 1 0
33.60  51  2 0 1
35.89  65  3 0 0
39.68  60  2 1 1
58.90  24  3 2 1
61.35  28  3 0 2

Atomic structure:
abc: 8.6671 8.6671 3.7920
angles: 90.00 90.00 120.00
Space group P-62m (No. 189)
Asymmetric unit:
1 Ho 0.0000 0.6419 0.0000 [3 per cell]
2 Re 0.0000 0.0000 0.0000 [1 per cell]
3 Te 0.0000 0.2267 0.5000 [3 per cell]
4 Te 0.3333 0.6667 0.5000 [2 per cell]

[3]
Diffraction record for Ho2Sb. The powder diffractogram is simulated, not measured: it uses a DFT-relaxed cell (PBE, OQMD) and Cu Ka.

Principal peaks in the range 10° ≤ 2θ ≤ 80°, by angle:
2θ (°)  I/Imax  hkl
29.89  100  1 1 2
30.40  53  2 1 0
31.81  63  2 1 1
34.74  40  0 1 3
36.55  33  1 1 3
38.40  36  3 0 2
41.91  32  0 2 0
58.14  25  3 2 2

Atomic structure:
abc: 8.040 4.311 9.675
angles: 90.00 90.00 90.00
Space group Pnma (No. 62)
Asymmetric unit:
1 Ho 0.045 0.250 0.169 [4 per cell]
2 Ho 0.131 0.250 0.565 [4 per cell]
3 Sb 0.240 0.250 0.864 [4 per cell]

[4]
Diffraction record for SmHoSc2Sb2. The powder diffractogram is simulated, not measured: it uses a DFT-relaxed cell (PBE, OQMD) and Cu Ka.

Principal peaks in the range 10° ≤ 2θ ≤ 80°, by angle:
2θ (°)  I/Imax  hkl
28.88  100  1 1 0
30.92  66  1 1 2
34.24  82  1 0 5
36.44  88  1 1 4
41.29  73  2 0 0
53.76  31  2 0 6
54.70  66  1 0 9
70.79  31  2 1 9

Atomic structure:
abc: 4.373 4.373 16.347
angles: 90.00 90.00 90.00
Space group I4mm (No. 107)
Asymmetric unit:
1 Sm 0.000 0.000 0.000 [2 per cell]
2 Ho 0.000 0.000 0.352 [2 per cell]
3 Sc 0.000 0.500 0.177 [4 per cell]
4 Sb 0.000 0.000 0.547 [2 per cell]
5 Sb 0.000 0.000 0.806 [2 per cell]

[5]
Diffraction record for HoZr2ScSb2. The powder diffractogram is simulated, not measured: it uses a DFT-relaxed cell (PBE, OQMD) and Cu Ka.

Principal peaks in the range 10° ≤ 2θ ≤ 80°, by angle:
2θ (°)  I/Imax  hkl
21.79  36  0 0 4
29.95  26  1 1 0
31.95  85  1 1 2
33.04  35  0 0 6
34.82  35  1 0 5
37.38  100  1 1 4
42.86  58  2 0 0
55.17  32  2 0 6

Atomic structure:
abc: 4.220 4.220 16.265
angles: 90.00 90.00 90.00
Space group I4mm (No. 107)
Asymmetric unit:
1 Ho 0.000 0.000 0.000 [2 per cell]
2 Zr 0.000 0.500 0.178 [4 per cell]
3 Sc 0.000 0.000 0.351 [2 per cell]
4 Sb 0.000 0.000 0.540 [2 per cell]
5 Sb 0.000 0.000 0.814 [2 per cell]

[6]
Diffraction record for Ho6SiSb3. The powder diffractogram is simulated, not measured: it uses a DFT-relaxed cell (PBE, OQMD) and Cu Ka.

Principal peaks in the range 10° ≤ 2θ ≤ 80°, by angle:
2θ (°)  I/Imax  hkl
23.28  100  2 0 0
27.25  61  2 1 1
31.49  58  0 0 4
35.37  40  2 1 3
36.13  28  3 0 1
36.84  49  2 2 2
39.53  49  2 0 4
56.21  25  4 2 2

Atomic structure:
abc: 7.642 7.642 11.363
angles: 90.00 90.00 90.00
Space group I4/mmm (No. 139)
Asymmetric unit:
1 Ho 0.000 0.000 0.243 [4 per cell]
2 Ho 0.000 0.328 0.000 [8 per cell]
3 Si 0.000 0.000 0.000 [2 per cell]
4 Sb 0.000 0.000 0.500 [2 per cell]
5 Sb 0.000 0.500 0.250 [4 per cell]


Simulated XRD peak list
Compound: Li7GaAu2
Radiation: Cu Kα
Structure: a structure optimized by DFT (GGA-PBE)

Structural model:
Unit cell a=7.4068 b=7.4068 c=4.5043 alpha=90.00 beta=90.00 gamma=119.04
Sites, in units of the cell vectors:
Li 0.0000 0.0000 0.0000
Li 0.2066 0.4387 0.0000
Li 0.2803 0.7197 0.5000
'''

Wanted:
The reader should copy only the last part of the block above, starting with the line that has "39.53".

Solution:
39.53  49  2 0 4
56.21  25  4 2 2

Atomic structure:
abc: 7.642 7.642 11.363
angles: 90.00 90.00 90.00
Space group I4/mmm (No. 139)
Asymmetric unit:
1 Ho 0.000 0.000 0.243 [4 per cell]
2 Ho 0.000 0.328 0.000 [8 per cell]
3 Si 0.000 0.000 0.000 [2 per cell]
4 Sb 0.000 0.000 0.500 [2 per cell]
5 Sb 0.000 0.500 0.250 [4 per cell]


Simulated XRD peak list
Compound: Li7GaAu2
Radiation: Cu Kα
Structure: a structure optimized by DFT (GGA-PBE)

Structural model:
Unit cell a=7.4068 b=7.4068 c=4.5043 alpha=90.00 beta=90.00 gamma=119.04
Sites, in units of the cell vectors:
Li 0.0000 0.0000 0.0000
Li 0.2066 0.4387 0.0000
Li 0.2803 0.7197 0.5000